## Entries
____________
A relaxed V2Zn3O8 crystal, computed with PBE+U.

Calculated values
**Total DFT energy (no corrections)**: -6.130 eV per atom
**Magnetization**: 0.00 μB per atom
**Symmetry**: Cmce

a b c (Å): 6.642 6.642 8.381
angles (deg): 90.00 90.00 124.55
Fractional coordinates of all 26 atoms:
V  0.122  0.878  0.880
V  0.378  0.622  0.380
V  0.622  0.378  0.620
V  0.878  0.122  0.120
Zn  0.000  0.000  0.500
Zn  0.113  0.387  0.750
Zn  0.387  0.113  0.250
Zn  0.500  0.500  0.000
Zn  0.613  0.887  0.750
Zn  0.887  0.613  0.250
O  0.000  0.000  0.256
O  0.000  0.000  0.744
O  0.110  0.345  0.000
O  0.155  0.390  0.500
O  0.250  0.750  0.274
O  0.250  0.750  0.774
O  0.345  0.110  0.000
O  0.390  0.155  0.500
O  0.500  0.500  0.244
O  0.500  0.500  0.756
O  0.610  0.845  0.500
O  0.655  0.890  0.000
O  0.750  0.250  0.226
O  0.750  0.250  0.726
O  0.845  0.610  0.500
O  0.890  0.655  0.000

***

A relaxed Li3FeB2O6 crystal, computed with PBE+U.

Calculated values
**Total DFT energy (no corrections)**: -6.641 eV per atom
**E above lowest polymorph**: 82 kJ/mol of formula units
**Magnetization**: 0.42 μB per atom
**Symmetry**: P2_1/c

a b c (Å): 5.926 7.808 10.969
angles (deg): 90.00 117.16 90.00
Fractional coordinates of all 48 atoms:
Li  0.057  0.203  0.076
Li  0.057  0.297  0.576
Li  0.271  0.553  0.115
Li  0.271  0.947  0.615
Li  0.380  0.716  0.378
Li  0.380  0.784  0.878
Li  0.620  0.216  0.122
Li  0.620  0.284  0.622
Li  0.729  0.053  0.385
Li  0.729  0.447  0.885
Li  0.943  0.703  0.424
Li  0.943  0.797  0.924
Fe  0.102  0.123  0.834
Fe  0.102  0.377  0.334
Fe  0.898  0.623  0.666
Fe  0.898  0.877  0.166
B  0.194  0.060  0.392
B  0.194  0.440  0.892
B  0.365  0.593  0.628
B  0.365  0.907  0.128
B  0.635  0.093  0.872
B  0.635  0.407  0.372
B  0.806  0.560  0.108
B  0.806  0.940  0.608
O  0.120  0.117  0.259
O  0.120  0.383  0.759
O  0.151  0.607  0.913
O  0.151  0.893  0.413
O  0.232  0.528  0.497
O  0.232  0.972  0.997
O  0.238  0.703  0.677
O  0.238  0.797  0.177
O  0.280  0.184  0.494
O  0.280  0.316  0.994
O  0.381  0.053  0.792
O  0.381  0.447  0.292
O  0.619  0.553  0.708
O  0.619  0.947  0.208
O  0.720  0.684  0.006
O  0.720  0.816  0.506
O  0.762  0.203  0.823
O  0.762  0.297  0.323
O  0.768  0.028  0.003
O  0.768  0.472  0.503
O  0.849  0.107  0.587
O  0.849  0.393  0.087
O  0.880  0.617  0.241
O  0.880  0.883  0.741

***

A relaxed CaY5Mo2O12 crystal, computed with PBE+U.

Calculated values
**Total DFT energy (no corrections)**: -8.211 eV per atom
**E above lowest polymorph**: 104 kJ/mol of formula units
**Magnetization**: 0.25 μB per atom
**Symmetry**: P1

a b c (Å): 6.091 6.558 8.917
angles (deg): 107.29 90.65 117.16
Fractional coordinates of all 20 atoms:
Ca  0.000  0.000  0.000
Y  0.063  0.143  0.677
Y  0.101  0.215  0.332
Y  0.441  0.892  0.776
Y  0.446  0.909  0.375
Y  0.757  0.534  0.605
Mo  0.011  0.534  0.031
Mo  0.523  0.537  0.036
O  0.137  0.803  0.582
O  0.186  0.917  0.193
O  0.237  0.475  0.192
O  0.293  0.581  0.868
O  0.322  0.174  0.880
O  0.364  0.237  0.510
O  0.636  0.799  0.574
O  0.700  0.904  0.180
O  0.713  0.455  0.154
O  0.794  0.603  0.869
O  0.838  0.160  0.874
O  0.853  0.235  0.504

***

A relaxed Sr3TaCoO7 crystal, computed with PBE+U.

Calculated values
**Total DFT energy (no corrections)**: -7.266 eV per atom
**E above lowest polymorph**: 22 kJ/mol of formula units
**Magnetization**: 0.00 μB per atom
**Symmetry**: P1

a b c (Å): 3.965 7.897 21.534
angles (deg): 90.01 90.03 90.02
Fractional coordinates of all 48 atoms:
Sr  0.000  0.000  0.000
Sr  0.000  0.001  0.164
Sr  0.001  0.496  0.375
Sr  0.001  0.995  0.376
Sr  0.496  0.741  0.663
Sr  0.497  0.249  0.663
Sr  0.499  0.244  0.874
Sr  0.499  0.747  0.875
Sr  0.503  0.749  0.501
Sr  0.504  0.243  0.500
Sr  0.999  0.490  0.164
Sr  0.999  0.491  0.000
Ta  0.500  0.245  0.282
Ta  0.500  0.746  0.281
Ta  0.999  0.496  0.782
Ta  0.999  0.995  0.780
Co  0.000  0.996  0.580
Co  0.498  0.746  0.078
Co  0.500  0.245  0.075
Co  0.999  0.496  0.575
____________

## Work order
Your job: transcribe the calculation results earlier on character by character.

## Done
A relaxed V2Zn3O8 crystal, computed with PBE+U.

Calculated values
**Total DFT energy (no corrections)**: -6.130 eV per atom
**Magnetization**: 0.00 μB per atom
**Symmetry**: Cmce

a b c (Å): 6.642 6.642 8.381
angles (deg): 90.00 90.00 124.55
Fractional coordinates of all 26 atoms:
V  0.122  0.878  0.880
V  0.378  0.622  0.380
V  0.622  0.378  0.620
V  0.878  0.122  0.120
Zn  0.000  0.000  0.500
Zn  0.113  0.387  0.750
Zn  0.387  0.113  0.250
Zn  0.500  0.500  0.000
Zn  0.613  0.887  0.750
Zn  0.887  0.613  0.250
O  0.000  0.000  0.256
O  0.000  0.000  0.744
O  0.110  0.345  0.000
O  0.155  0.390  0.500
O  0.250  0.750  0.274
O  0.250  0.750  0.774
O  0.345  0.110  0.000
O  0.390  0.155  0.500
O  0.500  0.500  0.244
O  0.500  0.500  0.756
O  0.610  0.845  0.500
O  0.655  0.890  0.000
O  0.750  0.250  0.226
O  0.750  0.250  0.726
O  0.845  0.610  0.500
O  0.890  0.655  0.000

***

A relaxed Li3FeB2O6 crystal, computed with PBE+U.

Calculated values
**Total DFT energy (no corrections)**: -6.641 eV per atom
**E above lowest polymorph**: 82 kJ/mol of formula units
**Magnetization**: 0.42 μB per atom
**Symmetry**: P2_1/c

a b c (Å): 5.926 7.808 10.969
angles (deg): 90.00 117.16 90.00
Fractional coordinates of all 48 atoms:
Li  0.057  0.203  0.076
Li  0.057  0.297  0.576
Li  0.271  0.553  0.115
Li  0.271  0.947  0.615
Li  0.380  0.716  0.378
Li  0.380  0.784  0.878
Li  0.620  0.216  0.122
Li  0.620  0.284  0.622
Li  0.729  0.053  0.385
Li  0.729  0.447  0.885
Li  0.943  0.703  0.424
Li  0.943  0.797  0.924
Fe  0.102  0.123  0.834
Fe  0.102  0.377  0.334
Fe  0.898  0.623  0.666
Fe  0.898  0.877  0.166
B  0.194  0.060  0.392
B  0.194  0.440  0.892
B  0.365  0.593  0.628
B  0.365  0.907  0.128
B  0.635  0.093  0.872
B  0.635  0.407  0.372
B  0.806  0.560  0.108
B  0.806  0.940  0.608
O  0.120  0.117  0.259
O  0.120  0.383  0.759
O  0.151  0.607  0.913
O  0.151  0.893  0.413
O  0.232  0.528  0.497
O  0.232  0.972  0.997
O  0.238  0.703  0.677
O  0.238  0.797  0.177
O  0.280  0.184  0.494
O  0.280  0.316  0.994
O  0.381  0.053  0.792
O  0.381  0.447  0.292
O  0.619  0.553  0.708
O  0.619  0.947  0.208
O  0.720  0.684  0.006
O  0.720  0.816  0.506
O  0.762  0.203  0.823
O  0.762  0.297  0.323
O  0.768  0.028  0.003
O  0.768  0.472  0.503
O  0.849  0.107  0.587
O  0.849  0.393  0.087
O  0.880  0.617  0.241
O  0.880  0.883  0.741

***

A relaxed CaY5Mo2O12 crystal, computed with PBE+U.

Calculated values
**Total DFT energy (no corrections)**: -8.211 eV per atom
**E above lowest polymorph**: 104 kJ/mol of formula units
**Magnetization**: 0.25 μB per atom
**Symmetry**: P1

a b c (Å): 6.091 6.558 8.917
angles (deg): 107.29 90.65 117.16
Fractional coordinates of all 20 atoms:
Ca  0.000  0.000  0.000
Y  0.063  0.143  0.677
Y  0.101  0.215  0.332
Y  0.441  0.892  0.776
Y  0.446  0.909  0.375
Y  0.757  0.534  0.605
Mo  0.011  0.534  0.031
Mo  0.523  0.537  0.036
O  0.137  0.803  0.582
O  0.186  0.917  0.193
O  0.237  0.475  0.192
O  0.293  0.581  0.868
O  0.322  0.174  0.880
O  0.364  0.237  0.510
O  0.636  0.799  0.574
O  0.700  0.904  0.180
O  0.713  0.455  0.154
O  0.794  0.603  0.869
O  0.838  0.160  0.874
O  0.853  0.235  0.504

***

A relaxed Sr3TaCoO7 crystal, computed with PBE+U.

Calculated values
**Total DFT energy (no corrections)**: -7.266 eV per atom
**E above lowest polymorph**: 22 kJ/mol of formula units
**Magnetization**: 0.00 μB per atom
**Symmetry**: P1

a b c (Å): 3.965 7.897 21.534
angles (deg): 90.01 90.03 90.02
Fractional coordinates of all 48 atoms:
Sr  0.000  0.000  0.000
Sr  0.000  0.001  0.164
Sr  0.001  0.496  0.375
Sr  0.001  0.995  0.376
Sr  0.496  0.741  0.663
Sr  0.497  0.249  0.663
Sr  0.499  0.244  0.874
Sr  0.499  0.747  0.875
Sr  0.503  0.749  0.501
Sr  0.504  0.243  0.500
Sr  0.999  0.490  0.164
Sr  0.999  0.491  0.000
Ta  0.500  0.245  0.282
Ta  0.500  0.746  0.281
Ta  0.999  0.496  0.782
Ta  0.999  0.995  0.780
Co  0.000  0.996  0.580
Co  0.498  0.746  0.078
Co  0.500  0.245  0.075
Co  0.999  0.496  0.575